┌──
No. 1
DFT (GGA-PBE) results for an optimized crystal structure of USnPd2.

Cell lengths 8.0973, 5.1287, 7.7234 Å; angles 90.00, 90.00, 90.00 degrees
Last column: nearest neighbours and their distance in Å.
Atoms (fractional coordinates):
Pd1 0.4611 0.7500 0.2959  2 Sn 2.71-2.75, 1 Pd 2.78, 1 U 2.86
Pd2 0.5320 0.2500 0.0635  2 Sn 2.67-2.84, 3 Pd 2.78-2.79, 1 U 2.87
Pd3 0.0389 0.7500 0.7959  2 Sn 2.71-2.75, 1 Pd 2.78, 1 U 2.86
Pd4 0.4680 0.7500 0.9365  2 Sn 2.67-2.84, 3 Pd 2.78-2.79, 1 U 2.87
Pd5 0.9611 0.2500 0.2041  2 Sn 2.71-2.75, 1 Pd 2.78, 1 U 2.86
Pd6 0.9680 0.2500 0.5635  2 Sn 2.67-2.84, 3 Pd 2.78-2.79, 1 U 2.87
Pd7 0.5389 0.2500 0.7041  2 Sn 2.71-2.75, 1 Pd 2.78, 1 U 2.86
Pd8 0.0320 0.7500 0.4365  2 Sn 2.67-2.84, 3 Pd 2.78-2.79, 1 U 2.87
Sn1 0.1650 0.7500 0.1209  4 Pd 2.67-2.84
Sn2 0.6650 0.2500 0.3791  4 Pd 2.67-2.84
Sn3 0.3350 0.7500 0.6209  4 Pd 2.67-2.84
Sn4 0.8350 0.2500 0.8791  4 Pd 2.67-2.84
U1 0.2264 0.2500 0.8754  5 Pd 2.86-3.19, 1 Sn 3.17
U2 0.7736 0.7500 0.1246  5 Pd 2.86-3.19, 1 Sn 3.17
U3 0.2736 0.2500 0.3754  5 Pd 2.86-3.19, 1 Sn 3.17
U4 0.7264 0.7500 0.6246  5 Pd 2.86-3.19, 1 Sn 3.17

Computed properties:
- DFT total energy: -6.789 eV per atom
- Energy relative to the elements: -373 meV/atom

=====

No. 2
DFT (GGA-PBE) results for an optimized crystal structure of USnPd.

Cell lengths 4.9945, 4.9945, 5.7794 Å; angles 90.00, 90.00, 120.00 degrees
Last column: nearest neighbours and their distance in Å.
Atoms (fractional coordinates):
U1 0.0000 0.0000 0.5000  2 U 2.89, 6 Sn 3.23, 6 Pd 3.23
U2 0.0000 0.0000 0.0000  2 U 2.89, 6 Sn 3.23, 6 Pd 3.23
Pd1 0.3333 0.6667 0.7500  5 Sn 2.88-2.89, 6 U 3.23
Pd2 0.6667 0.3333 0.2500  5 Sn 2.88-2.89, 6 U 3.23
Sn1 0.3333 0.6667 0.2500  5 Pd 2.88-2.89, 6 U 3.23
Sn2 0.6667 0.3333 0.7500  5 Pd 2.88-2.89, 6 U 3.23

Computed properties:
- DFT total energy: -7.251 eV per atom
- Energy relative to the elements: -424 meV/atom

=====

No. 3
DFT (GGA-PBE) results for an optimized crystal structure of U2SnPd2.

Cell lengths 7.6680, 7.6680, 3.7899 Å; angles 90.00, 90.00, 90.00 degrees
Last column: nearest neighbours and their distance in Å.
Atoms (fractional coordinates):
U1 0.1726 0.3274 0.5000  6 Pd 2.86-3.01
U2 0.6726 0.1726 0.5000  6 Pd 2.86-3.01
U3 0.8274 0.6726 0.5000  6 Pd 2.86-3.01
U4 0.3274 0.8274 0.5000  6 Pd 2.86-3.01
Sn1 0.5000 0.5000 0.0000  4 Pd 3.01
Sn2 0.0000 0.0000 0.0000  4 Pd 3.01
Pd1 0.8698 0.3698 0.0000  1 Pd 2.82, 6 U 2.86-3.01, 2 Sn 3.01
Pd2 0.6302 0.8698 0.0000  1 Pd 2.82, 6 U 2.86-3.01, 2 Sn 3.01
Pd3 0.3698 0.1302 0.0000  1 Pd 2.82, 6 U 2.86-3.01, 2 Sn 3.01
Pd4 0.1302 0.6302 0.0000  1 Pd 2.82, 6 U 2.86-3.01, 2 Sn 3.01

Computed properties:
- DFT total energy: -7.660 eV per atom
- Energy relative to the elements: -270 meV/atom

=====

No. 4
DFT (GGA-PBE) results for an optimized crystal structure of VSnPd.

Cell lengths 4.3540, 4.3540, 4.3540 Å; angles 60.00, 60.00, 60.00 degrees
Last column: nearest neighbours and their distance in Å.
Atoms (fractional coordinates):
Pd1 0.7500 0.7500 0.7500  4 V 2.67, 4 Sn 2.67
V1 0.5000 0.5000 0.5000  4 Pd 2.67
Sn1 0.0000 0.0000 0.0000  4 Pd 2.67

Computed properties:
- DFT total energy: -6.157 eV per atom
- Energy relative to the elements: -66 meV/atom

=====

No. 5
DFT (GGA-PBE) results for an optimized crystal structure of Y13Sn31Pd40.

Cell lengths 20.2134, 20.2134, 9.3930 Å; angles 90.00, 90.00, 120.00 degrees
Last column: nearest neighbours and their distance in Å.
Atoms (fractional coordinates):
Pd1 0.5526 0.6584 0.7789  5 Sn 2.79-2.89, 2 Pd 2.96-2.99
Pd2 0.2605 0.7395 0.6528  6 Sn 2.80-3.11, 3 Pd 2.87-2.96
Pd3 0.7643 0.6793 0.0000  4 Sn 2.66-2.78, 1 Pd 2.98
Pd4 0.8942 0.3416 0.7789  5 Sn 2.79-2.89, 2 Pd 2.96-2.99
Pd5 0.8579 0.1421 0.5000  6 Sn 2.75-2.83, 2 Pd 3.08
Pd6 0.4474 0.3416 0.2211  5 Sn 2.79-2.89, 2 Pd 2.96-2.99
Pd7 0.9124 0.8249 0.7567  5 Sn 2.82-3.14, 3 Pd 3.07-3.08, 1 Y 3.08
Pd8 0.1421 0.8579 0.5000  6 Sn 2.75-2.83, 2 Pd 3.08
Pd9 0.8942 0.5526 0.2211  5 Sn 2.79-2.89, 2 Pd 2.96-2.99
└──

It remains to find the line further up that holds "0.8274 0.6726", then retype that line and all lines after it there.

U3 0.8274 0.6726 0.5000  6 Pd 2.86-3.01
U4 0.3274 0.8274 0.5000  6 Pd 2.86-3.01
Sn1 0.5000 0.5000 0.0000  4 Pd 3.01
Sn2 0.0000 0.0000 0.0000  4 Pd 3.01
Pd1 0.8698 0.3698 0.0000  1 Pd 2.82, 6 U 2.86-3.01, 2 Sn 3.01
Pd2 0.6302 0.8698 0.0000  1 Pd 2.82, 6 U 2.86-3.01, 2 Sn 3.01
Pd3 0.3698 0.1302 0.0000  1 Pd 2.82, 6 U 2.86-3.01, 2 Sn 3.01
Pd4 0.1302 0.6302 0.0000  1 Pd 2.82, 6 U 2.86-3.01, 2 Sn 3.01

Computed properties:
- DFT total energy: -7.660 eV per atom
- Energy relative to the elements: -270 meV/atom

=====

No. 4
DFT (GGA-PBE) results for an optimized crystal structure of VSnPd.

Cell lengths 4.3540, 4.3540, 4.3540 Å; angles 60.00, 60.00, 60.00 degrees
Last column: nearest neighbours and their distance in Å.
Atoms (fractional coordinates):
Pd1 0.7500 0.7500 0.7500  4 V 2.67, 4 Sn 2.67
V1 0.5000 0.5000 0.5000  4 Pd 2.67
Sn1 0.0000 0.0000 0.0000  4 Pd 2.67

Computed properties:
- DFT total energy: -6.157 eV per atom
- Energy relative to the elements: -66 meV/atom

=====

No. 5
DFT (GGA-PBE) results for an optimized crystal structure of Y13Sn31Pd40.

Cell lengths 20.2134, 20.2134, 9.3930 Å; angles 90.00, 90.00, 120.00 degrees
Last column: nearest neighbours and their distance in Å.
Atoms (fractional coordinates):
Pd1 0.5526 0.6584 0.7789  5 Sn 2.79-2.89, 2 Pd 2.96-2.99
Pd2 0.2605 0.7395 0.6528  6 Sn 2.80-3.11, 3 Pd 2.87-2.96
Pd3 0.7643 0.6793 0.0000  4 Sn 2.66-2.78, 1 Pd 2.98
Pd4 0.8942 0.3416 0.7789  5 Sn 2.79-2.89, 2 Pd 2.96-2.99
Pd5 0.8579 0.1421 0.5000  6 Sn 2.75-2.83, 2 Pd 3.08
Pd6 0.4474 0.3416 0.2211  5 Sn 2.79-2.89, 2 Pd 2.96-2.99
Pd7 0.9124 0.8249 0.7567  5 Sn 2.82-3.14, 3 Pd 3.07-3.08, 1 Y 3.08
Pd8 0.1421 0.8579 0.5000  6 Sn 2.75-2.83, 2 Pd 3.08
Pd9 0.8942 0.5526 0.2211  5 Sn 2.79-2.89, 2 Pd 2.96-2.99